Saturday, May 19, 2012

Aloha! Hawaii Vacation 2012

The day after Christmas I had one last present for Cady. I stopped her in the hallway as she was headed to play with her new toys. I handed her a little envelope with a small piece of paper inside. She pulled it out and asked me what it was. I told her " It's a ticket to Hawaii. We're going to ride on a big airplane and go to a big island with palm trees, dolphins, seashells and pretty water!" 
Cady was *so* excited! She could hardly contain herself. I told her that we had to go pack our bags because we were going to leave the next morning! 

The next morning came rather slowly. The morning was rushed and filled with "Mommy, Mommy! Mommy when are we going to be there?!" The taxi pulled up out front to pick us up fairly early. We were dressed in our summer clothes already.. even though the night before it had snowed with Santa!

Let's GO!

The taxi driver took is straight to the airport. The whole way there Cady had been asking me questions about how the plane ride would be. This was her first flight, and my first one in a long time. I'm not really a fan of flying either. ( I had to put on my brave face for her!)
Waiting in line to check in!

We checked ourselves in and all of our bags. I had to explain to Cady about the security system and how it looks inside of our bags, almost like an x-ray at the Dr. ( We passed.. of course, we did! Who are we kidding .. unless Cady planned on sneaking in some candy! )

 After we passed the security gate we had to take a train to our gate to board the plane. Cady was so curious on how a train could be underground. The ride was fairly quick but a bit bumpy and noisy.

Hang on!
 It was time to board the plane. Cady was *so* nervous to fly. I warned her about her ears popping and the little bumps we might have. It was a long flight, but she slept through most of it. Due to my fear of flying.. I was wide eyed the entire flight.
Getting ready for take off!
Hawaii here we come!

 We *finally* made it to Hawaii! The airport was pretty small on the island. We could hear the gulls calling, and there were even a few little crabs running around. It felt SO nice to get off the plane and onto land.

Sun and sand!
We made it! 

We walked a short distance over a small hill and found our little beach house for the next week and a half. What a slice of heaven!

Welcome home!
We need SPF 70! 

Sandcastle fit for a Princess

Our beach house

We played in the sand and even swam around a bit for the afternoon. However, after a long day of traveling it was time for a small campfire and bed. 
Goodnight, Moon.
Waiting to go hunt for shells!
 We woke the next day feeling refreshed and ready for some serious fun! It was hard to know where to even begin really! We had a surprise visitor come to stay with us that week. Our close friend Ivy came to stay with us. It was such a happy treat! I thought it would be fun if we went beach combing ( it's one of my favorite things to do in RL! ) So we picked up our pails and headed out front to look for hidden treasures. After a few hours of walking the shoreline, giggles and running in the warm water, we headed back in the house to empty our buckets of goodies. We found a lot of beautiful shells! I took out some twine and we began to string our shells, and even little hibiscus flower petals on. They turned out quite beautiful! We wore them the rest of vacation. They are a beautiful reminder of the fun we had! I still have mine and I plan to wear it this summer as a reminder of our trip!
Working hard!
The final result! Aren't they pretty?!

 It had been a long afternoon of crafting with the girls and the sun had begun to set already. I had a wonderful idea. ( I hoped they could stay up late enough as they didn't get a nap in, and we had been so busy!) I wanted to take the girls to see the Loggerhead Sea Turtles come to beach to lay eggs, as they only show up at night. So.. we had a quick bite to eat, changed our clothes (we were covered in sand!) and headed out to the beach to look for the infamous turtles. We were in luck! We got there *just in time* to see the Mommy turtles coming up on the beach. Ivy was so captivated by them. She still talks about them to this day. I explained how they make an incredible journey.  (Mama's a sea-nut! I LOVE the Ocean!)

Loggerhead Sea Turtles!

We stayed there for hours, until night fell. I figured we would be there late and had prepped a camp site for us. We cooked a little bedtime treat of marshmallow's and headed to bed in a little tent. 

Roasting marshmallow's!
 The next morning we had to head back home for showers ( we were filled with sand and little buggy bites!) After we were all bathed and sunscreened -- I had yet another plan for us. I booked us a tour on a small boat in the marsh lands. I wanted the girls to see the wildlife and the plants that grow. They were a little apprehensive of the boat ride and some of the animals we saw.

Taking off into the marsh!

The boat dropped us off at a little picnic area and look what we saw! Ivy ran and hid.. she's afraid of monkey's. If you look close you can see lil Cady's head peeking at the monkey!

We were simply exhausted that night and slept like babies! I had anxiously been awaiting the next day. We were headed out on a whale watch. For those that don't know me well.. whales are my favorite animals (along with horses) .. and this was a dream. I expressed my excitement to the girls before we left. We headed down to the warf and I was amazed at what we saw. Thankfully, I brought my video camera and, Cady had brought the camera she got for Christmas. It was such a beautiful sight. We sat there for hours listening to the whales songs. ( I cried.. ssshh. ) 

Mama's dream come true 
Breeching Whale .. look hard, she's there!
Taking in the beauty with my two beauties. 

After I saw the whales swimming so freely in the harbor.. I knew I had to swim with them. The next morning I went to a small rental office on the island and got us some scuba suits and we headed into the deep (with a guide of course!)
My dream come true! 
We found so many fish! 
Scuba girls.
 (after we got home from this vacation, we purchased some of the fish we saw scuba diving for our own fish tank at home! It's a great memory!)

We had to go on one last big adventure before we headed home from vacation. So, we called some more family and they came to visit for a little adventure .. we went rafting and exploring in the rain forest! The rafting adventure was a big scary, but the girls were SO brave! The rope bridge was a bit .. scary as well.. although Maelie loved it! Ivy and I also found a lizard on our way back. We had to stop to take a few pictures of the animals we saw. (Maybe this is where our zoo stemmed from?)

Down the river we go! Good thing we had helmets on! 
This bridge was terrifying! 
We found an iguana! 

### These quantum chemistry results were left in the page by mistake
/*
Density functional theory data (ωB97M-V/def2-TZVPD) for a gas-phase ion, C5H11N2 (charge +1) in a non-equilibrium geometry.

```
18
Properties=species:S:1:pos:R:3
N -1.278 -0.811 -0.673
N -1.048 -1.907 -1.059
C -0.801 -3.048 -1.557
C -0.283 2.185 0.081
C 1.284 0.191 0.699
C -0.098 0.825 0.757
C -1.171 -0.360 0.623
H -0.327 1.988 -1.009
H 1.695 0.219 -0.363
H -1.217 2.668 0.508
H 2.118 0.791 1.184
H 0.531 2.860 0.076
H -2.100 0.131 0.869
H 1.310 -0.889 0.975
H -1.488 -3.823 -1.561
H -0.278 1.017 1.781
H 0.181 -3.432 -1.545
H -0.980 -1.227 1.352
```

Properties
Net charge = +1
Gap between HOMO and LUMO = 9.555 eV
Energy relative to the best compared isomer or geometry (same formula, charge and spin) = 94.89 kcal/mol
SMILES = C=[N+]=NCC(C)C

----------

{
*/
### Back to the page

Ant Eater!

Vacation was coming to an end soon... ( as much as we didn't want it to! ) The following day I thought we should make some memory jars. So, I took the girls out in front of the beach house to collect sand, shells, feathers and any other little treasure we could find. 

Little did Ivy know.. but there was a small pink shell that I carefully placed on the beach that had a little note tucked up inside of it. 
The big moment!

Ivy opened the shell and to her surprise...

We love you!.. she said yes! 

Working hard on our jars!

Our vacation came to an end the next morning. The plane was waiting for us on the runway. We packed our bags and waved goodbye to the house.. and headed to the runway to head back home to a winter wonderland. However.. we gained a new heart into our family. We brought home the best treasure.

We'll miss you Hawaii! 

 Well.. after a long flight we all made it back to the airport. Waiting here for the train to take us back to the checkpoint so we can grab our bags and catch a taxi back home.

-- Molecular data, kept here for reference --
~~~
{
  "formula": "C21H29O3RbS4Se2",
  "method": "wB97M-V/def2-TZVPD",
  "species": ["Rb", "C", "C", "C", "C", "C", "C", "C", "C", "C", "C", "H", "H", "H", "H", "H", "H", "H", "H", "H", "H", "H", "H", "H", "H", "C", "Se", "C", "C", "Se", "C", "H", "H", "H", "H", "H", "H", "H", "H", "H", "H", "S", "S", "S", "S", "O", "C", "C", "C", "C", "C", "C", "C", "O", "O", "H", "H", "H", "H", "H"],
  "positions_angstrom": [[1.391, 0.626, 1.458], [4.290, -2.261, -1.841], [3.277, -2.916, -0.901], [3.374, -2.284, 0.493], [1.849, -2.855, -1.408], [1.459, -2.079, -2.490], [0.137, -2.069, -2.924], [-0.829, -2.837, -2.293], [-2.257, -2.849, -2.772], [-0.441, -3.608, -1.200], [0.871, -3.616, -0.766], [5.302, -2.459, -1.481], [4.147, -1.178, -1.851], [4.204, -2.643, -2.861], [3.531, -3.979, -0.803], [3.289, -1.198, 0.410], [4.344, -2.508, 0.944], [2.591, -2.647, 1.161], [2.185, -1.466, -3.006], [-0.145, -1.432, -3.756], [-2.532, -3.839, -3.145], [-2.400, -2.126, -3.575], [-2.934, -2.601, -1.952], [-1.187, -4.191, -0.672], [1.135, -4.203, 0.106], [-2.964, 3.141, 0.747], [-1.344, 2.160, 0.273], [-0.840, 3.521, -1.116], [-1.615, 3.429, -2.428], [-1.691, 1.679, -3.337], [-3.343, 0.914, -2.638], [-2.695, 4.153, 1.048], [-3.409, 2.591, 1.570], [-3.657, 3.170, -0.096], [0.226, 3.356, -1.271], [-0.971, 4.525, -0.703], [-1.161, 4.075, -3.183], [-2.657, 3.731, -2.306], [-4.117, 1.681, -2.643], [-3.185, 0.534, -1.634], [-3.621, 0.110, -3.315], [-2.525, -0.072, 1.605], [-2.237, -0.636, 3.555], [-0.221, -0.569, 4.103], [0.850, -2.199, 3.569], [5.061, 3.202, -1.812], [4.086, 2.597, -2.561], [4.136, 2.608, -3.950], [3.136, 1.990, -4.691], [2.075, 1.383, -4.042], [2.032, 1.381, -2.653], [3.033, 1.971, -1.898], [2.967, 1.928, -0.370], [3.707, 1.092, 0.190], [2.150, 2.698, 0.170], [5.709, 3.584, -2.407], [4.962, 3.105, -4.451], [3.196, 1.992, -5.773], [1.277, 0.918, -4.609], [1.198, 0.917, -2.139]],
  "mulliken_charge": [0.91, -1.68, 0.92, -0.74, -0.23, 0.00, -0.67, 1.21, -1.60, -0.78, -0.57, 0.46, 0.20, 0.41, 0.33, -0.24, 0.36, 0.32, 0.39, 0.24, 0.39, 0.23, 0.36, 0.32, 0.35, -1.00, 0.02, -0.53, -0.84, 0.04, -0.81, 0.28, 0.36, 0.24, -0.05, 0.50, 0.43, 0.38, 0.34, 0.11, 0.34, -0.55, -0.22, -0.30, -0.62, -0.56, 1.34, -0.75, -0.73, -1.19, 0.08, 0.22, 0.04, -0.85, -0.78, 0.31, 0.21, 0.37, 0.35, 0.94],
  "charge": -2,
  "total_energy_ev": -203082.264,
  "gap_ev": 4.338,
  "e_above_lowest_ev": 0.012
}



{
  "formula": "C4H11ClS",
  "method": "wB97M-V/def2-TZVPD",
  "species": ["C", "C", "Cl", "H", "H", "H", "H", "H", "C", "S", "C", "H", "H", "H", "H", "H", "H"],
~~~

 Here we are at home. A winter wonderland.. and celebrating a new beginning with our little Hawaiian treasure, Ivy.

Thanks for re-living our Hawaiian vacation with me!
(I took 200 photo's on this trip.. it was hard to pick photos, and I hope I didn't leave any major ones out!) 
I'll leave you with a little song .. and hope you enjoyed our trip! 

1 comment:

  1. I'm sad i didn't get to be there with your two the whole trip! but i still don't regret how my trip went, i went there to visit my big sister, and left with a future family!
